**Data:**
____________
Entry 1:
C166H100O34 | ωB97M-V/def2-TZVPD

Cartesian coordinates (Å):
O: -6.0307 -5.1400 4.6507
O: -7.9943 4.6846 -0.9425
O: 6.4664 5.8248 -3.2550
O: 0.1088 2.5248 -5.3605
O: 7.7743 1.5264 -2.1239
O: -3.9841 5.4447 -6.8483
O: 0.4331 0.2448 1.2478
O: -7.5527 -1.6162 2.0228
O: -0.9907 -7.6836 -3.6868
O: -3.8922 -3.6573 -1.9124
O: 2.4329 5.0654 2.0011
O: 5.2086 -8.2109 -2.3461
O: 5.7027 4.7911 1.6225
O: -2.2514 -1.5014 8.7834
O: -6.5304 -6.4109 0.1325
O: -3.8530 1.4544 -2.2278
O: -2.1870 2.1718 0.6008
O: 0.0380 -3.9852 4.5942
O: 2.3533 -1.9954 -2.0083
O: -5.4182 1.1111 -5.5218
O: 0.1525 -7.5485 -0.8434
O: 5.3239 -5.8782 0.1622
O: -5.0032 -4.0814 -4.8688
O: 4.0146 7.5741 6.1959
O: 3.5700 -5.1380 -4.6515
O: 5.6027 -2.3602 0.8395
O: -1.7091 7.3498 4.4013
O: -3.0519 -2.6767 0.9852
O: 7.1647 1.8110 3.7282
O: 1.7070 4.2735 -1.5588
O: -5.1363 6.3970 1.8231
O: -1.6322 -0.9499 -3.4215
O: 3.2596 2.4428 4.9796
O: 4.3639 -1.6368 -8.6552
C: 4.7309 -4.9389 -0.3362
C: -6.7915 -5.3246 0.5907
C: 2.5951 9.2215 2.9317
C: 6.8414 -5.0663 -8.2838
C: -3.3056 3.4390 -6.0230
C: 5.4310 5.3191 -2.7712
C: -2.6082 -5.5057 1.2277
C: 0.9323 -4.0557 1.4047
C: 4.1975 -2.4408 -7.7718
C: 3.5774 1.3579 0.5104
C: -3.0768 5.6525 1.0803
C: -4.6065 3.7471 -1.9861
C: 3.5104 3.7881 -3.0618
C: 2.6005 -3.6238 -0.3064
C: 8.0068 5.6193 0.3255
C: 3.4665 -4.5054 0.2776
C: 7.6033 0.2856 1.9875
C: -3.0882 -4.1503 8.2532
C: -3.6392 -5.3427 7.7988
C: 1.1863 -1.6625 -4.8308
C: 6.8077 0.8441 3.0812
C: 3.2570 -9.1452 -1.1469
C: -0.9912 4.7772 0.2406
C: -1.6010 -6.7082 -3.3139
C: -6.2743 3.8812 2.1474
C: 5.0132 5.4306 5.8337
C: 4.7554 -4.5641 -6.5150
C: -7.5413 -5.1955 1.8412
C: 4.0361 -8.1547 -2.0090
C: -7.0673 3.9761 -1.2761
C: 3.8443 6.3901 5.8971
C: 0.4094 4.6753 3.0412
C: -4.6307 -1.2086 5.5443
C: -0.7153 6.7783 4.0532
C: -1.0995 -5.3005 -3.3430
C: 9.7363 5.1610 -1.3153
C: 1.3371 -0.1908 5.5738
C: -1.4321 -0.3317 -2.3728
C: -3.4987 -7.6359 2.1626
C: 7.3681 4.3991 0.0687
C: -3.0764 4.6502 -6.8500
C: 6.0535 -3.9054 -8.4826
C: -2.2120 -3.4642 7.4175
C: -6.1513 -0.8196 -4.3041
C: 0.8009 0.4723 6.6715
C: -3.4960 -4.7743 1.9930
C: -4.0972 -2.1041 -5.7281
C: 3.6867 -4.3007 -5.5522
C: 0.8978 -1.4434 5.1570
C: -2.9081 -6.9477 -2.5435
C: -4.3687 -6.8579 2.9315
C: 5.1895 -4.1926 -1.5307
C: -4.4597 5.4446 1.5394
C: -2.8115 3.1522 0.7951
C: 4.9305 -2.4513 -3.2202
C: -3.3590 4.3145 -2.1191
C: -0.2693 -0.0920 7.3418
C: 6.1384 4.0833 0.7417
C: -1.6426 -4.0592 6.3162
C: 1.3589 -0.8412 -5.9274
C: -2.1588 -5.3297 5.9332
C: -6.0674 1.6854 -1.4462
C: 4.7322 4.1385 -3.3350
C: -1.5224 2.9386 4.1865
C: 1.8250 -4.9321 1.9951
C: -3.1544 -4.5801 -2.1486
C: 4.8538 4.2212 5.3126
C: 0.4795 8.9834 3.9960
C: -0.1014 -2.0314 5.9373
C: 1.5370 9.7742 3.5905
C: -7.2271 2.4322 -1.2046
C: 4.9464 -3.7512 -7.6777
C: -4.3420 -5.4937 2.9511
C: 2.2907 4.5292 5.5738
C: 7.2516 2.3780 -1.4240
C: 2.5320 7.8691 2.5797
C: -2.0460 -0.8181 -1.1002
C: 1.9651 -9.0096 -0.8761
C: -0.4789 6.0262 0.1054
C: -3.8276 -1.2077 3.2677
C: 1.9347 -2.7349 -4.7372
C: 5.2375 0.9962 -1.2407
C: -1.7022 4.7648 -7.5556
C: 4.3851 -3.1630 -2.0533
C: -4.4368 6.4706 -1.9027
C: 6.9644 -3.6833 -3.0385
C: 1.2168 -7.8114 -1.3244
C: -5.0121 4.0666 1.5694
C: -2.2872 2.7971 -5.4600
C: 7.9164 3.6379 -1.0122
C: -0.5712 0.7930 -2.2006
C: -5.0327 -2.8390 -4.9126
C: -1.3967 -0.6458 0.0590
C: 3.4063 5.8233 -1.5391
C: -5.6289 5.8948 -1.5545
C: -0.5236 -3.3925 5.5037
C: 1.3604 -3.3258 0.3164
C: 4.0154 0.6973 -0.6093
C: 2.7460 4.6116 -2.0698
C: -0.6076 5.2576 3.8323
C: 9.1707 5.9446 -0.3456
C: -2.5164 6.9055 1.0600
C: -6.2018 0.3210 -1.2998
C: -0.8548 3.1136 -5.8283
C: -0.6805 4.1169 -6.9224
C: 6.4582 -4.4511 -2.0211
C: 0.4556 7.5976 3.6877
C: -0.6984 -1.4042 7.0020
C: -4.0619 -2.5727 3.0867
C: 3.2606 -7.0123 -2.4238
C: -7.9155 -3.9726 2.2956
C: -5.1505 -4.6973 4.0050
C: -6.7598 2.5807 2.2134
C: 4.7229 6.0638 -1.6977
C: 0.4699 3.3069 2.9029
C: 3.4500 3.6100 5.1807
C: -5.9139 1.4995 1.9064
C: 1.9401 -6.8765 -2.1983
C: 2.9167 -3.0562 -5.6563
C: 3.0551 -2.8839 -1.5246
____________

**To do:**
What is needed: return all of the lines further up character by character.

**Solution:**
Entry 1:
C166H100O34 | ωB97M-V/def2-TZVPD

Cartesian coordinates (Å):
O: -6.0307 -5.1400 4.6507
O: -7.9943 4.6846 -0.9425
O: 6.4664 5.8248 -3.2550
O: 0.1088 2.5248 -5.3605
O: 7.7743 1.5264 -2.1239
O: -3.9841 5.4447 -6.8483
O: 0.4331 0.2448 1.2478
O: -7.5527 -1.6162 2.0228
O: -0.9907 -7.6836 -3.6868
O: -3.8922 -3.6573 -1.9124
O: 2.4329 5.0654 2.0011
O: 5.2086 -8.2109 -2.3461
O: 5.7027 4.7911 1.6225
O: -2.2514 -1.5014 8.7834
O: -6.5304 -6.4109 0.1325
O: -3.8530 1.4544 -2.2278
O: -2.1870 2.1718 0.6008
O: 0.0380 -3.9852 4.5942
O: 2.3533 -1.9954 -2.0083
O: -5.4182 1.1111 -5.5218
O: 0.1525 -7.5485 -0.8434
O: 5.3239 -5.8782 0.1622
O: -5.0032 -4.0814 -4.8688
O: 4.0146 7.5741 6.1959
O: 3.5700 -5.1380 -4.6515
O: 5.6027 -2.3602 0.8395
O: -1.7091 7.3498 4.4013
O: -3.0519 -2.6767 0.9852
O: 7.1647 1.8110 3.7282
O: 1.7070 4.2735 -1.5588
O: -5.1363 6.3970 1.8231
O: -1.6322 -0.9499 -3.4215
O: 3.2596 2.4428 4.9796
O: 4.3639 -1.6368 -8.6552
C: 4.7309 -4.9389 -0.3362
C: -6.7915 -5.3246 0.5907
C: 2.5951 9.2215 2.9317
C: 6.8414 -5.0663 -8.2838
C: -3.3056 3.4390 -6.0230
C: 5.4310 5.3191 -2.7712
C: -2.6082 -5.5057 1.2277
C: 0.9323 -4.0557 1.4047
C: 4.1975 -2.4408 -7.7718
C: 3.5774 1.3579 0.5104
C: -3.0768 5.6525 1.0803
C: -4.6065 3.7471 -1.9861
C: 3.5104 3.7881 -3.0618
C: 2.6005 -3.6238 -0.3064
C: 8.0068 5.6193 0.3255
C: 3.4665 -4.5054 0.2776
C: 7.6033 0.2856 1.9875
C: -3.0882 -4.1503 8.2532
C: -3.6392 -5.3427 7.7988
C: 1.1863 -1.6625 -4.8308
C: 6.8077 0.8441 3.0812
C: 3.2570 -9.1452 -1.1469
C: -0.9912 4.7772 0.2406
C: -1.6010 -6.7082 -3.3139
C: -6.2743 3.8812 2.1474
C: 5.0132 5.4306 5.8337
C: 4.7554 -4.5641 -6.5150
C: -7.5413 -5.1955 1.8412
C: 4.0361 -8.1547 -2.0090
C: -7.0673 3.9761 -1.2761
C: 3.8443 6.3901 5.8971
C: 0.4094 4.6753 3.0412
C: -4.6307 -1.2086 5.5443
C: -0.7153 6.7783 4.0532
C: -1.0995 -5.3005 -3.3430
C: 9.7363 5.1610 -1.3153
C: 1.3371 -0.1908 5.5738
C: -1.4321 -0.3317 -2.3728
C: -3.4987 -7.6359 2.1626
C: 7.3681 4.3991 0.0687
C: -3.0764 4.6502 -6.8500
C: 6.0535 -3.9054 -8.4826
C: -2.2120 -3.4642 7.4175
C: -6.1513 -0.8196 -4.3041
C: 0.8009 0.4723 6.6715
C: -3.4960 -4.7743 1.9930
C: -4.0972 -2.1041 -5.7281
C: 3.6867 -4.3007 -5.5522
C: 0.8978 -1.4434 5.1570
C: -2.9081 -6.9477 -2.5435
C: -4.3687 -6.8579 2.9315
C: 5.1895 -4.1926 -1.5307
C: -4.4597 5.4446 1.5394
C: -2.8115 3.1522 0.7951
C: 4.9305 -2.4513 -3.2202
C: -3.3590 4.3145 -2.1191
C: -0.2693 -0.0920 7.3418
C: 6.1384 4.0833 0.7417
C: -1.6426 -4.0592 6.3162
C: 1.3589 -0.8412 -5.9274
C: -2.1588 -5.3297 5.9332
C: -6.0674 1.6854 -1.4462
C: 4.7322 4.1385 -3.3350
C: -1.5224 2.9386 4.1865
C: 1.8250 -4.9321 1.9951
C: -3.1544 -4.5801 -2.1486
C: 4.8538 4.2212 5.3126
C: 0.4795 8.9834 3.9960
C: -0.1014 -2.0314 5.9373
C: 1.5370 9.7742 3.5905
C: -7.2271 2.4322 -1.2046
C: 4.9464 -3.7512 -7.6777
C: -4.3420 -5.4937 2.9511
C: 2.2907 4.5292 5.5738
C: 7.2516 2.3780 -1.4240
C: 2.5320 7.8691 2.5797
C: -2.0460 -0.8181 -1.1002
C: 1.9651 -9.0096 -0.8761
C: -0.4789 6.0262 0.1054
C: -3.8276 -1.2077 3.2677
C: 1.9347 -2.7349 -4.7372
C: 5.2375 0.9962 -1.2407
C: -1.7022 4.7648 -7.5556
C: 4.3851 -3.1630 -2.0533
C: -4.4368 6.4706 -1.9027
C: 6.9644 -3.6833 -3.0385
C: 1.2168 -7.8114 -1.3244
C: -5.0121 4.0666 1.5694
C: -2.2872 2.7971 -5.4600
C: 7.9164 3.6379 -1.0122
C: -0.5712 0.7930 -2.2006
C: -5.0327 -2.8390 -4.9126
C: -1.3967 -0.6458 0.0590
C: 3.4063 5.8233 -1.5391
C: -5.6289 5.8948 -1.5545
C: -0.5236 -3.3925 5.5037
C: 1.3604 -3.3258 0.3164
C: 4.0154 0.6973 -0.6093
C: 2.7460 4.6116 -2.0698
C: -0.6076 5.2576 3.8323
C: 9.1707 5.9446 -0.3456
C: -2.5164 6.9055 1.0600
C: -6.2018 0.3210 -1.2998
C: -0.8548 3.1136 -5.8283
C: -0.6805 4.1169 -6.9224
C: 6.4582 -4.4511 -2.0211
C: 0.4556 7.5976 3.6877
C: -0.6984 -1.4042 7.0020
C: -4.0619 -2.5727 3.0867
C: 3.2606 -7.0123 -2.4238
C: -7.9155 -3.9726 2.2956
C: -5.1505 -4.6973 4.0050
C: -6.7598 2.5807 2.2134
C: 4.7229 6.0638 -1.6977
C: 0.4699 3.3069 2.9029
C: 3.4500 3.6100 5.1807
C: -5.9139 1.4995 1.9064
C: 1.9401 -6.8765 -2.1983
C: 2.9167 -3.0562 -5.6563
C: 3.0551 -2.8839 -1.5246